**Input**
********
The following is a theoretical powder diffraction line list of Na4Ni9O18. It was derived from the PBE+U geometry in Alexandria, using copper Kα.

Top 10 peaks for 10 to 90 degrees two-theta, low angle first:
2θ (°)	intensity
15.8	100
31.8	11
36.8	7
37.0	12
38.4	8
42.5	30
42.7	16
53.1	11
58.0	8
65.5	7

Structural model:
```
data_Na4Ni9O18
_chemical_formula_sum 'Na4 Ni9 O18'
_cell_length_a 7.0560
_cell_length_b 7.1537
_cell_length_c 7.5076
_cell_angle_alpha 91.07
_cell_angle_beta 103.12
_cell_angle_gamma 106.00
_space_group_name_H-M_alt 'P 1'
_space_group_IT_number 1
_space_group_name_Hall 'P 1'
loop_
_atom_site_label
_atom_site_type_symbol
_atom_site_fract_x
_atom_site_fract_y
_atom_site_fract_z
Na1 Na 0.0000 0.0000 0.0000
Na2 Na 0.0738 0.0699 0.5912
Na3 Na 0.4659 0.4596 0.6716
Na4 Na 0.5676 0.5607 0.2643
Ni1 Ni 0.0019 0.4941 0.4631
Ni2 Ni 0.1209 0.6086 0.1296
Ni3 Ni 0.2206 0.7199 0.7934
Ni4 Ni 0.3389 0.8273 0.4653
Ni5 Ni 0.4425 0.9485 0.1330
Ni6 Ni 0.5512 0.0547 0.7996
Ni7 Ni 0.6633 0.1626 0.4700
Ni8 Ni 0.7799 0.2790 0.1322
Ni9 Ni 0.8919 0.3903 0.7996
O1 O 0.0387 0.3494 0.0287
O2 O 0.0990 0.7609 0.5530
O3 O 0.1273 0.4488 0.7029
O4 O 0.2064 0.8714 0.2293
O5 O 0.2673 0.5698 0.3627
O6 O 0.2881 0.9826 0.8687
O7 O 0.3521 0.6820 0.0322
O8 O 0.4248 0.0944 0.5610
O9 O 0.4516 0.7709 0.7006
O10 O 0.5243 0.2070 0.2412
O11 O 0.5832 0.8951 0.3931
O12 O 0.6653 0.3402 0.8966
O13 O 0.6772 0.0154 0.0360
O14 O 0.7412 0.4251 0.5637
O15 O 0.8078 0.1282 0.7106
O16 O 0.8866 0.5448 0.2236
O17 O 0.8959 0.2237 0.3757
O18 O 0.9872 0.6573 0.8926
```

* * * * *

Li2Mn3GaO8: calculated PXRD pattern (Cu Ka), based on a crystal structure in Alexandria, relaxed with GGA+U.
No peak broadening, texture or thermal motion is included.

Crystal structure
Lattice parameters (Å, degrees): 5.909 5.909 5.877 118.58 118.58 59.08
Fractional positions:
Li  0.113  0.113  0.367
Li  0.887  0.887  0.633
Mn  0.000  0.500  0.000
Mn  0.500  0.000  0.000
Mn  0.500  0.500  0.500
Ga  0.500  0.500  0.000
O  0.243  0.243  0.210
O  0.250  0.704  0.232
O  0.262  0.262  0.788
O  0.296  0.750  0.768
O  0.704  0.250  0.232
O  0.738  0.738  0.212
O  0.750  0.296  0.768
O  0.757  0.757  0.790

Principal peaks in the range 2θ from 10° to 80°, in order of rising 2θ:
18.07 deg, I 65; 18.40 deg, I 100; 18.52 deg, I 36; 34.92 deg, I 22; 35.55 deg, I 17; 36.06 deg, I 37; 37.30 deg, I 13; 42.08 deg, I 39; 43.76 deg, I 70; 61.70 deg, I 22; 62.96 deg, I 21; 63.91 deg, I 10

* * * * *

The following is a calculated XRD peak list of NaCaNbP2SO12. It was derived from a cell relaxed with PBE, using Cu Kα, 1.54184 Å.
Neutral-atom scattering factors, no anomalous dispersion.

Unit cell a=15.665 b=9.007 c=9.242 alpha=90.00 beta=123.54 gamma=90.00
Space group Cc (No. 9)
Asymmetric unit:
Na (0.000, 0.237, 0.000) x4
Ca (0.358, 0.254, 0.081) x4
Nb (0.148, 0.253, 0.459) x4
P (0.113, 0.096, 0.776) x4
P (0.250, 0.456, 0.274) x4
S (0.403, 0.113, 0.769) x4
O (0.016, 0.155, 0.753) x4
O (0.114, 0.082, 0.292) x4
O (0.116, 0.134, 0.606) x4
O (0.168, 0.366, 0.292) x4
O (0.184, 0.434, 0.607) x4
O (0.207, 0.155, 0.933) x4
O (0.308, 0.180, 0.611) x4
O (0.313, 0.345, 0.251) x4
O (0.315, 0.451, 0.931) x4
O (0.407, 0.137, 0.926) x4
O (0.414, 0.045, 0.247) x4
O (0.493, 0.193, 0.781) x4

Largest 10 diffraction maxima, low angle first, 2θ = 10–90°:
(1 1 -1), 2θ 13.74, rel. 52; (1 1 1), 2θ 19.04, rel. 40; (0 2 0), 2θ 19.67, rel. 71; (3 1 0), 2θ 22.69, rel. 48; (0 2 1), 2θ 22.91, rel. 100; (2 2 -2), 2θ 27.67, rel. 32; (3 1 1), 2θ 30.30, rel. 35; (0 2 2), 2θ 30.53, rel. 48; (3 1 -3), 2θ 30.70, rel. 34; (3 3 -1), 2θ 34.46, rel. 28

---

The following is a calculated XRD peak list of Tl2Pd. It was derived from a cell relaxed with PBE, using Cu Kα, 1.54184 Å.
Neutral-atom scattering factors, no anomalous dispersion.

Unit cell a=6.877 b=6.877 c=5.911 alpha=90.00 beta=90.00 gamma=90.00
Space group I4/mcm (No. 140)
Asymmetric unit:
Tl (0.165, 0.335, 0.000) x8
Pd (0.000, 0.000, 0.250) x4
********

**Work order**
Please duplicate the whole of the contents further above without altering anything.

**Worked solution**
The following is a theoretical powder diffraction line list of Na4Ni9O18. It was derived from the PBE+U geometry in Alexandria, using copper Kα.

Top 10 peaks for 10 to 90 degrees two-theta, low angle first:
2θ (°)	intensity
15.8	100
31.8	11
36.8	7
37.0	12
38.4	8
42.5	30
42.7	16
53.1	11
58.0	8
65.5	7

Structural model:
```
data_Na4Ni9O18
_chemical_formula_sum 'Na4 Ni9 O18'
_cell_length_a 7.0560
_cell_length_b 7.1537
_cell_length_c 7.5076
_cell_angle_alpha 91.07
_cell_angle_beta 103.12
_cell_angle_gamma 106.00
_space_group_name_H-M_alt 'P 1'
_space_group_IT_number 1
_space_group_name_Hall 'P 1'
loop_
_atom_site_label
_atom_site_type_symbol
_atom_site_fract_x
_atom_site_fract_y
_atom_site_fract_z
Na1 Na 0.0000 0.0000 0.0000
Na2 Na 0.0738 0.0699 0.5912
Na3 Na 0.4659 0.4596 0.6716
Na4 Na 0.5676 0.5607 0.2643
Ni1 Ni 0.0019 0.4941 0.4631
Ni2 Ni 0.1209 0.6086 0.1296
Ni3 Ni 0.2206 0.7199 0.7934
Ni4 Ni 0.3389 0.8273 0.4653
Ni5 Ni 0.4425 0.9485 0.1330
Ni6 Ni 0.5512 0.0547 0.7996
Ni7 Ni 0.6633 0.1626 0.4700
Ni8 Ni 0.7799 0.2790 0.1322
Ni9 Ni 0.8919 0.3903 0.7996
O1 O 0.0387 0.3494 0.0287
O2 O 0.0990 0.7609 0.5530
O3 O 0.1273 0.4488 0.7029
O4 O 0.2064 0.8714 0.2293
O5 O 0.2673 0.5698 0.3627
O6 O 0.2881 0.9826 0.8687
O7 O 0.3521 0.6820 0.0322
O8 O 0.4248 0.0944 0.5610
O9 O 0.4516 0.7709 0.7006
O10 O 0.5243 0.2070 0.2412
O11 O 0.5832 0.8951 0.3931
O12 O 0.6653 0.3402 0.8966
O13 O 0.6772 0.0154 0.0360
O14 O 0.7412 0.4251 0.5637
O15 O 0.8078 0.1282 0.7106
O16 O 0.8866 0.5448 0.2236
O17 O 0.8959 0.2237 0.3757
O18 O 0.9872 0.6573 0.8926
```

* * * * *

Li2Mn3GaO8: calculated PXRD pattern (Cu Ka), based on a crystal structure in Alexandria, relaxed with GGA+U.
No peak broadening, texture or thermal motion is included.

Crystal structure
Lattice parameters (Å, degrees): 5.909 5.909 5.877 118.58 118.58 59.08
Fractional positions:
Li  0.113  0.113  0.367
Li  0.887  0.887  0.633
Mn  0.000  0.500  0.000
Mn  0.500  0.000  0.000
Mn  0.500  0.500  0.500
Ga  0.500  0.500  0.000
O  0.243  0.243  0.210
O  0.250  0.704  0.232
O  0.262  0.262  0.788
O  0.296  0.750  0.768
O  0.704  0.250  0.232
O  0.738  0.738  0.212
O  0.750  0.296  0.768
O  0.757  0.757  0.790

Principal peaks in the range 2θ from 10° to 80°, in order of rising 2θ:
18.07 deg, I 65; 18.40 deg, I 100; 18.52 deg, I 36; 34.92 deg, I 22; 35.55 deg, I 17; 36.06 deg, I 37; 37.30 deg, I 13; 42.08 deg, I 39; 43.76 deg, I 70; 61.70 deg, I 22; 62.96 deg, I 21; 63.91 deg, I 10

* * * * *

The following is a calculated XRD peak list of NaCaNbP2SO12. It was derived from a cell relaxed with PBE, using Cu Kα, 1.54184 Å.
Neutral-atom scattering factors, no anomalous dispersion.

Unit cell a=15.665 b=9.007 c=9.242 alpha=90.00 beta=123.54 gamma=90.00
Space group Cc (No. 9)
Asymmetric unit:
Na (0.000, 0.237, 0.000) x4
Ca (0.358, 0.254, 0.081) x4
Nb (0.148, 0.253, 0.459) x4
P (0.113, 0.096, 0.776) x4
P (0.250, 0.456, 0.274) x4
S (0.403, 0.113, 0.769) x4
O (0.016, 0.155, 0.753) x4
O (0.114, 0.082, 0.292) x4
O (0.116, 0.134, 0.606) x4
O (0.168, 0.366, 0.292) x4
O (0.184, 0.434, 0.607) x4
O (0.207, 0.155, 0.933) x4
O (0.308, 0.180, 0.611) x4
O (0.313, 0.345, 0.251) x4
O (0.315, 0.451, 0.931) x4
O (0.407, 0.137, 0.926) x4
O (0.414, 0.045, 0.247) x4
O (0.493, 0.193, 0.781) x4

Largest 10 diffraction maxima, low angle first, 2θ = 10–90°:
(1 1 -1), 2θ 13.74, rel. 52; (1 1 1), 2θ 19.04, rel. 40; (0 2 0), 2θ 19.67, rel. 71; (3 1 0), 2θ 22.69, rel. 48; (0 2 1), 2θ 22.91, rel. 100; (2 2 -2), 2θ 27.67, rel. 32; (3 1 1), 2θ 30.30, rel. 35; (0 2 2), 2θ 30.53, rel. 48; (3 1 -3), 2θ 30.70, rel. 34; (3 3 -1), 2θ 34.46, rel. 28

---

The following is a calculated XRD peak list of Tl2Pd. It was derived from a cell relaxed with PBE, using Cu Kα, 1.54184 Å.
Neutral-atom scattering factors, no anomalous dispersion.

Unit cell a=6.877 b=6.877 c=5.911 alpha=90.00 beta=90.00 gamma=90.00
Space group I4/mcm (No. 140)
Asymmetric unit:
Tl (0.165, 0.335, 0.000) x8
Pd (0.000, 0.000, 0.250) x4